File
____________
Structure and calculated XRD peak list of KMnPO3F3 (DFT lattice parameters and positions (GGA+U); Cu Kα (λ = 1.5418 Å)).
Kinematic intensities with the Lorentz-polarization factor, no thermal factor.

Cell and atoms:
```
data_KMnPO3F3
_cell_length_a 5.5179
_cell_length_b 12.8740
_cell_length_c 7.8798
_cell_angle_alpha 90.00
_cell_angle_beta 114.24
_cell_angle_gamma 90.00
_symmetry_space_group_name_H-M 'P 1 21/c 1'
_symmetry_Int_Tables_number 14
_symmetry_space_group_name_Hall '-P 2ybc'
loop_
_atom_site_label
_atom_site_fract_x
_atom_site_fract_y
_atom_site_fract_z
K1 0.1467 0.2005 0.1889
Mn1 0.0000 0.0000 0.5000
Mn2 0.5000 0.0000 0.0000
P1 0.3738 0.6068 0.8146
O1 0.1872 0.6023 0.9139
O2 0.3035 0.5276 0.6557
O3 0.3334 0.1148 0.5565
F1 0.1655 0.5553 0.2429
F2 0.2936 0.7174 0.7116
F3 0.3662 0.1347 0.9621
```

The 10 most intense peaks (10 to 80 degrees two-theta), in order of rising 2θ:
2theta	d (Å)	I/Imax	index
13.8	6.437	60	0 2 0
18.2	4.868	24	1 1 -1
26.4	3.378	75	1 1 1
26.8	3.325	100	1 3 -1
28.5	3.137	45	0 2 2
29.0	3.076	41	1 2 1
31.7	2.819	24	1 3 -2
34.1	2.629	29	2 0 -2
35.0	2.567	25	1 1 -3
52.7	1.737	28	1 7 -1

* * * * *

Theoretical powder diffractogram
Compound: Rb2Cd3Se4
Radiation: CuKα
Structure: a DFT-relaxed cell (PBE, Alexandria)
Peak positions follow from Bragg's law for the DFT cell and can differ from measured ones.

Crystal structure
abc: 14.898 11.190 6.958
angles: 90.00 90.00 90.00
Space group Pnma (No. 62)
Asymmetric unit:
Rb  0.000  0.000  0.000 x4
Rb  0.038  0.250  0.478 x4
Cd  0.206  0.750  0.248 x4
Cd  0.245  0.095  0.181 x8
Se  0.139  0.538  0.399 x8
Se  0.140  0.250  0.957 x4
Se  0.152  0.750  0.887 x4

Most intense lines, 5 to 70 degrees two-theta, low angle first:
| 2θ/deg | I/Imax |
| --- | --- |
| 11.88 | 54 |
| 27.20 | 100 |
| 27.79 | 16 |
| 28.31 | 42 |
| 29.70 | 39 |
| 31.39 | 20 |
| 36.47 | 38 |
| 39.83 | 18 |
| 41.87 | 26 |
| 43.97 | 14 |
| 49.05 | 17 |
| 50.49 | 14 |

Theoretical powder diffractogram
Compound: Rb2SrCd2Se4
Radiation: CuKα
Structure: a DFT-relaxed cell (PBE, Alexandria)
Peak positions follow from Bragg's law for the DFT cell and can differ from measured ones.

Crystal structure
abc: 16.905 4.450 8.359
angles: 90.00 109.38 90.00
Space group C2/m (No. 12)
Asymmetric unit:
Rb  0.123  0.000  0.048 x4
Sr  0.000  0.000  0.500 x2
Cd  0.171  0.500  0.478 x4
Se  0.020  0.500  0.255 x4
Se  0.207  0.000  0.682 x4

Most intense lines, 5 to 70 degrees two-theta, low angle first:
| 2θ/deg | I/Imax |
| --- | --- |
| 11.22 | 67 |
| 24.51 | 36 |
| 25.98 | 30 |
| 26.15 | 35 |
| 28.24 | 22 |
| 29.38 | 60 |
| 30.73 | 100 |
| 31.76 | 20 |
| 38.39 | 28 |
| 38.53 | 24 |
| 40.54 | 39 |
| 47.98 | 30 |

Theoretical powder diffractogram
Compound: RbTaCdSe4
Radiation: CuKα
Structure: a DFT-relaxed cell (PBE, Alexandria)
Peak positions follow from Bragg's law for the DFT cell and can differ from measured ones.

Crystal structure
abc: 6.326 7.992 9.965
angles: 90.00 105.55 90.00
Space group P2_1/m (No. 11)
Asymmetric unit:
Rb  0.215  0.250  0.388 x2
Ta  0.337  0.750  0.208 x2
Cd  0.176  0.250  0.824 x2
Se  0.051  0.750  0.990 x2
Se  0.183  0.750  0.407 x2
Se  0.439  0.001  0.782 x4

Most intense lines, 5 to 70 degrees two-theta, low angle first:
| 2θ/deg | I/Imax |
| --- | --- |
| 14.42 | 100 |
| 18.48 | 25 |
| 21.60 | 20 |
| 22.25 | 40 |
| 26.54 | 38 |
| 26.68 | 20 |
| 26.93 | 25 |
| 27.82 | 20 |
| 32.29 | 33 |
| 41.68 | 27 |
| 45.39 | 45 |
| 47.33 | 22 |

Theoretical powder diffractogram
Compound: Rb2U3CdSe8
Radiation: CuKα
Structure: a DFT-relaxed cell (PBE, Alexandria)
Peak positions follow from Bragg's law for the DFT cell and can differ from measured ones.

Crystal structure
abc: 8.2965 8.2965 25.8710
angles: 90.00 90.00 120.00
Space group R3m (No. 160, hexagonal axes)
Asymmetric unit:
Rb  0.0000  0.0000  0.0000 x3
Rb  0.0000  0.0000  0.3493 x3
U  0.1685  0.3369  0.1847 x9
Cd  0.0000  0.0000  0.8413 x3
Se  0.0000  0.0000  0.1268 x3
Se  0.0000  0.0000  0.5787 x3
Se  0.0119  0.5060  0.1221 x9
____________

Wanted
Find the line further above that holds "0.0000 0.5000", then repeat that line and all lines after it there.

Outcome
Mn1 0.0000 0.0000 0.5000
Mn2 0.5000 0.0000 0.0000
P1 0.3738 0.6068 0.8146
O1 0.1872 0.6023 0.9139
O2 0.3035 0.5276 0.6557
O3 0.3334 0.1148 0.5565
F1 0.1655 0.5553 0.2429
F2 0.2936 0.7174 0.7116
F3 0.3662 0.1347 0.9621
```

The 10 most intense peaks (10 to 80 degrees two-theta), in order of rising 2θ:
2theta	d (Å)	I/Imax	index
13.8	6.437	60	0 2 0
18.2	4.868	24	1 1 -1
26.4	3.378	75	1 1 1
26.8	3.325	100	1 3 -1
28.5	3.137	45	0 2 2
29.0	3.076	41	1 2 1
31.7	2.819	24	1 3 -2
34.1	2.629	29	2 0 -2
35.0	2.567	25	1 1 -3
52.7	1.737	28	1 7 -1

* * * * *

Theoretical powder diffractogram
Compound: Rb2Cd3Se4
Radiation: CuKα
Structure: a DFT-relaxed cell (PBE, Alexandria)
Peak positions follow from Bragg's law for the DFT cell and can differ from measured ones.

Crystal structure
abc: 14.898 11.190 6.958
angles: 90.00 90.00 90.00
Space group Pnma (No. 62)
Asymmetric unit:
Rb  0.000  0.000  0.000 x4
Rb  0.038  0.250  0.478 x4
Cd  0.206  0.750  0.248 x4
Cd  0.245  0.095  0.181 x8
Se  0.139  0.538  0.399 x8
Se  0.140  0.250  0.957 x4
Se  0.152  0.750  0.887 x4

Most intense lines, 5 to 70 degrees two-theta, low angle first:
| 2θ/deg | I/Imax |
| --- | --- |
| 11.88 | 54 |
| 27.20 | 100 |
| 27.79 | 16 |
| 28.31 | 42 |
| 29.70 | 39 |
| 31.39 | 20 |
| 36.47 | 38 |
| 39.83 | 18 |
| 41.87 | 26 |
| 43.97 | 14 |
| 49.05 | 17 |
| 50.49 | 14 |

Theoretical powder diffractogram
Compound: Rb2SrCd2Se4
Radiation: CuKα
Structure: a DFT-relaxed cell (PBE, Alexandria)
Peak positions follow from Bragg's law for the DFT cell and can differ from measured ones.

Crystal structure
abc: 16.905 4.450 8.359
angles: 90.00 109.38 90.00
Space group C2/m (No. 12)
Asymmetric unit:
Rb  0.123  0.000  0.048 x4
Sr  0.000  0.000  0.500 x2
Cd  0.171  0.500  0.478 x4
Se  0.020  0.500  0.255 x4
Se  0.207  0.000  0.682 x4

Most intense lines, 5 to 70 degrees two-theta, low angle first:
| 2θ/deg | I/Imax |
| --- | --- |
| 11.22 | 67 |
| 24.51 | 36 |
| 25.98 | 30 |
| 26.15 | 35 |
| 28.24 | 22 |
| 29.38 | 60 |
| 30.73 | 100 |
| 31.76 | 20 |
| 38.39 | 28 |
| 38.53 | 24 |
| 40.54 | 39 |
| 47.98 | 30 |

Theoretical powder diffractogram
Compound: RbTaCdSe4
Radiation: CuKα
Structure: a DFT-relaxed cell (PBE, Alexandria)
Peak positions follow from Bragg's law for the DFT cell and can differ from measured ones.

Crystal structure
abc: 6.326 7.992 9.965
angles: 90.00 105.55 90.00
Space group P2_1/m (No. 11)
Asymmetric unit:
Rb  0.215  0.250  0.388 x2
Ta  0.337  0.750  0.208 x2
Cd  0.176  0.250  0.824 x2
Se  0.051  0.750  0.990 x2
Se  0.183  0.750  0.407 x2
Se  0.439  0.001  0.782 x4

Most intense lines, 5 to 70 degrees two-theta, low angle first:
| 2θ/deg | I/Imax |
| --- | --- |
| 14.42 | 100 |
| 18.48 | 25 |
| 21.60 | 20 |
| 22.25 | 40 |
| 26.54 | 38 |
| 26.68 | 20 |
| 26.93 | 25 |
| 27.82 | 20 |
| 32.29 | 33 |
| 41.68 | 27 |
| 45.39 | 45 |
| 47.33 | 22 |

Theoretical powder diffractogram
Compound: Rb2U3CdSe8
Radiation: CuKα
Structure: a DFT-relaxed cell (PBE, Alexandria)
Peak positions follow from Bragg's law for the DFT cell and can differ from measured ones.

Crystal structure
abc: 8.2965 8.2965 25.8710
angles: 90.00 90.00 120.00
Space group R3m (No. 160, hexagonal axes)
Asymmetric unit:
Rb  0.0000  0.0000  0.0000 x3
Rb  0.0000  0.0000  0.3493 x3
U  0.1685  0.3369  0.1847 x9
Cd  0.0000  0.0000  0.8413 x3
Se  0.0000  0.0000  0.1268 x3
Se  0.0000  0.0000  0.5787 x3
Se  0.0119  0.5060  0.1221 x9